Avendus Capital will be soon launching its, and the industry’s, first ESG- (environment, social and governance) based fund.

While the fund will invest in Indian listed securities (as per their ESG score), it is structured to accept investments from domestic as well as foreign investors. Abhay Laijawala, MD and Fund Manager, Avendus Capital Public Markets Alternate Strategies, shares details about the fund in an e-mail interaction with BusinessLine .

Can you explain the investment strategy adopted in the new ESG fund?

Facing rising demand from investors, institutional money managers in most markets worldwide want to broaden their long-term investment objectives beyond traditional financial returns, to encompass economic, environmental and societal impacts in building investment portfolios.

The investment strategy adopted by us — in what will be India’s first ESG fund — is to deliver robust long-term capital appreciation through investing only in companies that practise sound ESG policies. Integrated ESG investing is about explicitly evaluating non-financial ESG criteria as additive and complementary to traditional financial metrics.

~~~
Calculated PXRD pattern of Na3HfScSi2SO12 for CuKα, from a crystal structure in the Materials Project, relaxed with PBE.
Intensities are scaled so that the largest is 100.

Structural model:
a b c (Å): 9.143 9.143 9.259
angles (deg): 119.91 119.91 59.92
Element x y z (fractional)
Na1 0.064 0.936 0.500
Na2 0.157 0.691 0.757
Na3 0.291 0.432 0.005
Na4 0.432 0.291 0.505
Na5 0.691 0.157 0.257
Na6 0.936 0.064 0.000
Hf1 0.336 0.856 0.214
Hf2 0.856 0.336 0.714
Sc1 0.038 0.550 0.329
Sc2 0.550 0.038 0.829
Si1 0.153 0.242 0.529
Si2 0.242 0.153 0.029
Si3 0.742 0.946 0.534
Si4 0.946 0.742 0.034
S1 0.445 0.648 0.520
S2 0.648 0.445 0.020
O1 0.060 0.182 0.853
O2 0.130 0.745 0.039
O3 0.132 0.419 0.509
O4 0.182 0.060 0.353
O5 0.205 0.325 0.202
O6 0.255 0.970 0.039
O7 0.288 0.629 0.512
O8 0.325 0.205 0.702
O9 0.413 0.666 0.355
O10 0.419 0.132 0.009
O11 0.476 0.806 0.674
O12 0.479 0.600 0.039
O13 0.560 0.911 0.365
O14 0.600 0.479 0.539
O15 0.629 0.288 0.012
O16 0.666 0.413 0.855
O17 0.716 0.987 0.713
O18 0.745 0.130 0.539
O19 0.784 0.929 0.015
O20 0.806 0.476 0.174
O21 0.911 0.560 0.865
O22 0.929 0.784 0.515
O23 0.970 0.255 0.539
O24 0.987 0.716 0.213

Principal peaks in the range 2θ from 10° to 80°, in order of rising 2θ:
13.63°, d = 6.496 Å, rel. 100; 19.23°, d = 4.616 Å, rel. 93; 19.42°, d = 4.570 Å, rel. 78; 22.71°, d = 3.915 Å, rel. 21; 23.80°, d = 3.739 Å, rel. 25; 27.44°, d = 3.251 Å, rel. 30; 30.58°, d = 2.924 Å, rel. 35; 30.71°, d = 2.911 Å, rel. 73; 30.91°, d = 2.893 Å, rel. 27; 33.96°, d = 2.640 Å, rel. 73; 46.49°, d = 1.953 Å, rel. 25; 53.01°, d = 1.727 Å, rel. 30

=====

Record 1
Computed powder XRD pattern
Compound: ZrTiPd2
Radiation: Cu Kα
Structure: a DFT-relaxed cell (GGA-PBE, Alexandria)
Lines closer than 0.1° are merged.

Structural model:
Unit cell a=4.1694 b=4.1694 c=3.9328 alpha=90.00 beta=90.00 gamma=90.00
Fractional positions:
Zr 0.0000 0.0000 0.0000
Ti 0.5000 0.5000 0.0000
Pd 0.0000 0.5000 0.5000
Pd 0.5000 0.0000 0.5000

Peak list (8 most intense, 5 to 70 degrees two-theta, by angle)
2θ = 21.3°, rel. 4
2θ = 22.6°, rel. 4
2θ = 30.3°, rel. 4
2θ = 38.1°, rel. 100
2θ = 43.4°, rel. 34
2θ = 46.2°, rel. 14
2θ = 63.1°, rel. 11
2θ = 65.2°, rel. 20

Record 2
Computed powder XRD pattern
Compound: ZrTi2Pd8
Radiation: Cu Kα
Structure: a DFT-relaxed cell (GGA-PBE, Alexandria)
Lines closer than 0.1° are merged.

Structural model:
Unit cell a=7.3810 b=7.3810 c=6.4779 alpha=107.97 beta=107.97 gamma=31.50
Fractional positions:
Zr 0.0000 0.0000 0.0000
Ti 0.2804 0.2804 0.3379
Ti 0.7196 0.7196 0.6621
Pd 0.1055 0.1055 0.4599
Pd 0.1809 0.1809 0.9151
Pd 0.3525 0.3525 0.7964
Pd 0.4582 0.4582 0.2742
Pd 0.5418 0.5418 0.7258
Pd 0.6475 0.6475 0.2036
Pd 0.8191 0.8191 0.0849
Pd 0.8945 0.8945 0.5401

Peak list (8 most intense, 5 to 70 degrees two-theta, by angle)
2θ = 39.1°, rel. 99
2θ = 39.2°, rel. 100
2θ = 43.8°, rel. 35
2θ = 45.3°, rel. 34
2θ = 47.4°, rel. 26
2θ = 64.8°, rel. 21
2θ = 66.8°, rel. 11
2θ = 67.6°, rel. 17

Record 3
Computed powder XRD pattern
~~~
Here the page continues:

We will employ a research-driven approach to stock selection, focussing on rigorous assessment of ESG factors, together with risk, volatility and the valuation criteria of stocks. Avendus has exclusively tied up with Institutional Investor Advisory Services (IiAS), a SEBI registered research firm, which will independently put in place a comprehensive ranking framework covering ESG principles.

Is this an alternate investment fund (AIF)? What will the minimum investment in the fund be, and what will be the fund manager fee and charges?

Avendus Capital Public Markets Alternate Strategies, the alternate asset management arm of Avendus Capital, has introduced differentiated products and strategies for investors.

The company launched Avendus Absolute Return Fund in March 2017, followed by Avendus Enhanced Return Fund in December 2017.

The Avendus ESG fund will be the third differentiated strategy from our AIF suite. It will be an alternate investment fund, and the minimum investments will be in line with the stipulated amounts set for similar alternate investment funds.

What returns can one expect from this fund?

Stocks that have scored highly on sustainable criteria have shown that they tend to outperform their less sustainable counterparts.

A study by Oxford University and Arabesque Asset Management in 2014 found a very high correlation between responsible investment and performance. According to their report, 90 per cent of the studies reviewed showed that the cost of capital is lower for companies with higher standards of sustainability.

ESG investing is an additional lens to effectively manage and measure portfolio risk, leading to better investment returns. A Bank of America Merrill Lynch study showed that, relative to fundamental factors, ESG was a better signal of future earnings volatility — based on findings that higher the ESG quintile ranking, lesser the median change in EPS volatility over a five-year period.

Material ESG issues are strategic business matters integral to performance, and hence, an analysis of these is vital to investment decision-making.

According to MSCI, ESG-compliant companies in emerging markets generally outperform general market indices.

The All Country World MSCI index, which invests based on ESG factors, outperformed its parent index by 39 basis points over the five-year period to June 2017.

Similarly, MSCI India ESG Leaders index outperformed the MSCI India index by 120 bps between September 2007 and July 2018.

Investors ultimately want returns. Do you think there will be takers for such funds in India?

The page is interrupted by materials data.
~~~
(1)
Structure and computed powder XRD pattern of Tm2GeO5 (DFT lattice parameters and positions (GGA-PBE); Cu Kα).
No peak broadening, texture or thermal motion is included.

abc: 10.2369 3.6602 11.0330
angles: 90.00 90.00 90.00
Positions (direct):
Tm: 0.1092 0.2500 0.2238
Tm: 0.1351 0.2500 0.5599
Tm: 0.3649 0.7500 0.0599
Tm: 0.3908 0.7500 0.7238
Tm: 0.6092 0.2500 0.2762
Tm: 0.6351 0.2500 0.9401
Tm: 0.8649 0.7500 0.4401
Tm: 0.8908 0.7500 0.7762
Ge: 0.1767 0.2500 0.8829
Ge: 0.3233 0.7500 0.3829
Ge: 0.6767 0.2500 0.6171
Ge: 0.8233 0.7500 0.1171
O: 0.0094 0.7500 0.6040
O: 0.0100 0.2500 0.8425
O: 0.2215 0.2500 0.0432
O: 0.2388 0.7500 0.8864
O: 0.2403 0.7500 0.2334
O: 0.2597 0.2500 0.7334
O: 0.2612 0.2500 0.3864
O: 0.2785 0.7500 0.5432
O: 0.4900 0.7500 0.3425
O: 0.4906 0.2500 0.1040
O: 0.5094 0.7500 0.8960
O: 0.5100 0.2500 0.6575
O: 0.7215 0.2500 0.4568
O: 0.7388 0.7500 0.6136
O: 0.7403 0.7500 0.2666
O: 0.7597 0.2500 0.7666
O: 0.7612 0.2500 0.1136
O: 0.7785 0.7500 0.9568
O: 0.9900 0.7500 0.1575
O: 0.9906 0.2500 0.3960

Largest 8 diffraction maxima, in order of rising 2θ, 10° ≤ 2θ ≤ 80°:
| two_theta | I_rel |
| --- | --- |
| 11.8 | 10.3 |
| 25.7 | 11.5 |
| 30.0 | 100.0 |
| 34.6 | 23.4 |
| 49.8 | 10.5 |
| 50.1 | 20.9 |
| 59.2 | 12.8 |
| 59.8 | 8.4 |

=====

(2)
Structure and computed powder XRD pattern of ErAlO3 (DFT lattice parameters and positions (GGA-PBE); Cu Kα).
No peak broadening, texture or thermal motion is included.

abc: 3.4458 3.4458 11.4497
angles: 90.00 90.00 120.00
Positions (direct):
Er: 0.0000 0.0000 0.0000
Er: 0.0000 0.0000 0.5000
Al: 0.3333 0.6667 0.2500
Al: 0.6667 0.3333 0.7500
O: 0.0000 0.0000 0.2500
O: 0.0000 0.0000 0.7500
O: 0.3333 0.6667 0.0911
O: 0.3333 0.6667 0.4089
O: 0.6667 0.3333 0.5911
O: 0.6667 0.3333 0.9089

Largest 8 diffraction maxima, in order of rising 2θ, 10° ≤ 2θ ≤ 80°:
| two_theta | I_rel |
| --- | --- |
| 15.5 | 81.4 |
| 29.9 | 66.1 |
| 31.2 | 30.1 |
| 33.9 | 100.0 |
| 43.8 | 64.6 |
| 53.2 | 31.9 |
| 57.3 | 29.5 |
| 63.0 | 24.7 |

=====

(3)
Structure and computed powder XRD pattern of Ce8SnPd24 (DFT lattice parameters and positions (GGA-PBE); Cu Kα).
No peak broadening, texture or thermal motion is included.

abc: 8.4870 8.4870 8.4870
angles: 90.00 90.00 90.00
Positions (direct):
Ce: 0.2479 0.2479 0.2479
Ce: 0.2479 0.2479 0.7521
Ce: 0.2479 0.7521 0.2479
Ce: 0.2479 0.7521 0.7521
Ce: 0.7521 0.2479 0.2479
Ce: 0.7521 0.2479 0.7521
Ce: 0.7521 0.7521 0.2479
Ce: 0.7521 0.7521 0.7521
Sn: 0.0000 0.0000 0.0000
Pd: 0.0000 0.0000 0.3158
Pd: 0.0000 0.0000 0.6842
Pd: 0.0000 0.2672 0.5000
Pd: 0.0000 0.3158 0.0000
Pd: 0.0000 0.5000 0.2672
Pd: 0.0000 0.5000 0.7328
Pd: 0.0000 0.6842 0.0000
Pd: 0.0000 0.7328 0.5000
Pd: 0.2549 0.5000 0.5000
Pd: 0.2672 0.0000 0.5000
Pd: 0.2672 0.5000 0.0000
Pd: 0.3158 0.0000 0.0000
Pd: 0.5000 0.0000 0.2672
Pd: 0.5000 0.0000 0.7328
Pd: 0.5000 0.2549 0.5000
Pd: 0.5000 0.2672 0.0000
Pd: 0.5000 0.5000 0.2549
Pd: 0.5000 0.5000 0.7451
Pd: 0.5000 0.7328 0.0000
Pd: 0.5000 0.7451 0.5000
~~~

At the outset, it must be noted that ESG investing does not come at the cost of sacrificing returns.

As we mentioned, ESG-based investment funds have consistently outperformed their corresponding benchmarks across developed and emerging markets, and even in India, as highlighted by the outperformance of MSCI ESG index over MSCI India.

Integrated ESG financial products in western geographies are witnessing fast-paced growth, and there is a vast body of research and stock evidence demonstrating that ESG does not come with a virtue discount, and outperforms mainstream indices. Considering these factors, we see strong investor interest for ESG funds in India, from an increasingly socially aware and responsible investor base.

How has the global experience been in these kinds of funds?

ESG has become one of the fastest-growing segments in global investments, with assets based on sustainability and ESG factors growing at a CAGR (compounded annual growth rate) of more than 12 per cent over the past few years. In fact, 26 per cent of total assets worldwide — cumulating to $23 trillion — are now managed under the sustainable and responsible investment umbrella.

Investment analysis that focusses solely on financial performance is increasingly being regarded as insufficient. Instead, we now see more and more investors analysing ESG-related indicators alongside financial performance.